Excerpt
+++
C18H18F3N3O3 in the gas phase, computed with ωB97M-V with the def2-TZVPD basis set.

Orbital gap (Ha): 0.364
Spin multiplicity: 1
SMILES: O=C(NCc1ccon1)[C@@H]1CCC(=O)N(Cc2cccc(C(F)(F)F)c2)C1

CARTESIAN COORDINATES (ANGSTROEM)
O  2.235  2.508  2.023
C  2.290  1.802  1.042
N  2.017  2.251  -0.211
H  1.963  1.568  -0.951
C  1.163  3.400  -0.403
C  -0.240  2.962  -0.682
N  -0.518  1.709  -0.951
O  -1.853  1.620  -1.147
C  -2.396  2.829  -0.998
C  -1.427  3.738  -0.701
H  -1.527  4.785  -0.518
H  -3.458  2.902  -1.120
H  1.195  3.992  0.516
H  1.533  4.014  -1.231
C  2.621  0.313  1.116
C  1.257  -0.395  0.995
N  1.395  -1.801  0.698
C  2.157  -2.203  -0.348
O  2.210  -3.355  -0.728
C  2.935  -1.072  -0.992
C  3.612  -0.188  0.054
H  4.108  0.653  -0.434
H  4.388  -0.779  0.544
H  2.223  -0.497  -1.593
H  3.674  -1.504  -1.668
C  0.363  -2.689  1.208
C  -0.925  -2.386  0.484
C  -1.161  -2.946  -0.767
C  -2.273  -2.582  -1.505
C  -3.159  -1.638  -1.015
C  -2.923  -1.075  0.230
C  -1.820  -1.451  0.984
H  -1.662  -1.003  1.954
C  -3.863  -0.051  0.792
F  -3.225  0.928  1.460
F  -4.604  0.564  -0.145
F  -4.739  -0.582  1.668
H  -4.018  -1.335  -1.592
H  -2.447  -3.026  -2.473
H  -0.456  -3.662  -1.162
H  0.261  -2.540  2.286
H  0.691  -3.710  1.003
H  0.728  -0.295  1.945
H  0.647  0.098  0.223
H  3.028  0.128  2.113

* * * * *

1.
Formula: C2H5N2O7S2
Source: the OMol25 dataset
Level of theory: ωB97M-V/def2-TZVPD

```
18
Properties=species:S:1:pos:R:3:forces:R:3:nbo_charge:R:1
C -1.45206 0.10307 0.89046 1.8 2.3 -1.4 0.631
C -0.68591 -0.20860 -0.38732 3.1 -1.9 1.2 -0.268
N -0.97232 1.17882 1.53504 -2.2 -0.9 1.9 -0.803
N -0.94120 -1.36623 -1.09785 1.7 1.5 -2.6 -0.793
O -0.65914 1.31904 -2.52636 -0.1 -1.2 -0.8 -0.963
O 1.35005 -2.25282 0.28797 0.2 -0.6 -0.8 -0.975
O -2.32250 -0.61924 1.23314 -2.1 -1.9 1.0 -0.612
O 1.54637 0.53575 -1.86956 -0.5 -1.0 -0.1 -0.954
O 0.28710 2.13710 -0.52347 0.9 -0.3 0.0 -1.016
O 2.21988 0.11169 0.39170 0.2 -1.2 -0.6 -0.949
O 0.97037 -0.84807 2.25092 0.1 0.0 -0.9 -0.957
S 0.19539 0.99299 -1.41990 -1.5 3.8 0.3 2.383
S 1.12479 -0.92912 0.80164 -0.4 2.0 1.2 2.148
H -0.34805 1.75934 1.05836 1.2 1.2 -0.7 0.436
H -1.38026 1.41194 2.44430 0.4 -0.2 -0.8 0.393
H -0.06854 -1.36039 -1.75597 -2.4 -1.3 1.2 0.389
H 2.14923 0.22984 -0.76348 -0.2 0.1 1.4 0.509
H -1.01321 -2.19509 -0.54962 0.1 -0.5 0.4 0.402
```
Forces are in eV/Å.

- maximum force (eV/A) = 4.1
- orbital gap (eV) = 8.82
- E_HOMO (eV) = -5.489
- ΔE to the lowest compared entry with this formula, charge and spin (eV) = 0.0000
- charge = -1

2.
Formula: C25H52F4O6Si
Source: the OMol25 dataset
Level of theory: ωB97M-V/def2-TZVPD

```
88
Properties=species:S:1:pos:R:3:forces:R:3:lowdin_charge:R:1
C 2.75594 -3.47253 4.69800 0.2 0.2 -0.2 -0.060
C 2.82844 -2.15828 3.92798 0.5 -0.4 -0.2 -0.240
O 3.78055 -2.24558 2.86451 0.3 0.0 -0.1 -0.138
C 3.23519 -2.62751 1.63443 -0.5 0.1 0.4 -0.140
C 2.81199 -1.44902 0.72732 0.0 -0.9 -0.7 -0.361
C 1.61184 -1.95524 -0.08832 0.0 0.4 0.0 -0.090
C 0.86640 -0.89624 -0.90323 -0.4 -0.5 -0.4 -0.216
O -0.54370 -1.13356 -0.84947 0.3 0.4 0.3 -0.208
Si -1.42374 -0.36130 0.34003 -0.8 0.0 0.2 0.460
C -1.07763 -1.00629 2.08082 -0.1 0.1 -0.2 -0.145
C -3.22727 -0.74224 -0.04487 0.5 -0.2 0.3 -0.145
C -1.17576 1.50183 0.35291 -0.1 -0.5 0.0 -0.132
C 3.92510 -1.02620 -0.25194 0.3 0.0 0.5 -0.094
C 5.37533 -1.23985 0.22023 0.1 0.0 -0.4 -0.160
C 6.40302 -0.24734 -0.34386 -0.1 0.1 0.0 -0.416
C 6.50588 1.05730 0.45658 0.3 -0.6 -0.1 -0.068
C 6.23835 0.01903 -1.84091 0.4 -0.1 0.4 -0.075
O 2.29478 -0.33975 1.50828 0.4 0.8 -0.1 0.057
C 3.13995 0.63708 1.87459 0.8 -0.3 0.8 -0.354
O 4.21916 0.52930 2.40312 -1.2 0.1 -0.7 0.175
C 2.55921 2.05114 1.64308 0.1 0.3 -0.2 -0.346
F 3.60688 2.91960 1.46707 -0.6 -0.4 0.0 0.111
F 1.79501 2.09995 0.52302 0.4 -0.1 0.4 0.118
C 1.77220 2.56015 2.86786 -0.2 0.6 -0.3 -0.263
F 0.89498 3.52585 2.46235 0.3 -0.6 0.2 0.083
F 1.08448 1.54952 3.46261 0.1 0.3 -0.3 0.090
H 2.57180 -3.27513 5.74903 -0.3 -0.1 0.1 0.071
+++

Wanted
Could you reproduce the rows above from the first line to the one with "maximum force" verbatim?

Outcome
C18H18F3N3O3 in the gas phase, computed with ωB97M-V with the def2-TZVPD basis set.

Orbital gap (Ha): 0.364
Spin multiplicity: 1
SMILES: O=C(NCc1ccon1)[C@@H]1CCC(=O)N(Cc2cccc(C(F)(F)F)c2)C1

CARTESIAN COORDINATES (ANGSTROEM)
O  2.235  2.508  2.023
C  2.290  1.802  1.042
N  2.017  2.251  -0.211
H  1.963  1.568  -0.951
C  1.163  3.400  -0.403
C  -0.240  2.962  -0.682
N  -0.518  1.709  -0.951
O  -1.853  1.620  -1.147
C  -2.396  2.829  -0.998
C  -1.427  3.738  -0.701
H  -1.527  4.785  -0.518
H  -3.458  2.902  -1.120
H  1.195  3.992  0.516
H  1.533  4.014  -1.231
C  2.621  0.313  1.116
C  1.257  -0.395  0.995
N  1.395  -1.801  0.698
C  2.157  -2.203  -0.348
O  2.210  -3.355  -0.728
C  2.935  -1.072  -0.992
C  3.612  -0.188  0.054
H  4.108  0.653  -0.434
H  4.388  -0.779  0.544
H  2.223  -0.497  -1.593
H  3.674  -1.504  -1.668
C  0.363  -2.689  1.208
C  -0.925  -2.386  0.484
C  -1.161  -2.946  -0.767
C  -2.273  -2.582  -1.505
C  -3.159  -1.638  -1.015
C  -2.923  -1.075  0.230
C  -1.820  -1.451  0.984
H  -1.662  -1.003  1.954
C  -3.863  -0.051  0.792
F  -3.225  0.928  1.460
F  -4.604  0.564  -0.145
F  -4.739  -0.582  1.668
H  -4.018  -1.335  -1.592
H  -2.447  -3.026  -2.473
H  -0.456  -3.662  -1.162
H  0.261  -2.540  2.286
H  0.691  -3.710  1.003
H  0.728  -0.295  1.945
H  0.647  0.098  0.223
H  3.028  0.128  2.113

* * * * *

1.
Formula: C2H5N2O7S2
Source: the OMol25 dataset
Level of theory: ωB97M-V/def2-TZVPD

```
18
Properties=species:S:1:pos:R:3:forces:R:3:nbo_charge:R:1
C -1.45206 0.10307 0.89046 1.8 2.3 -1.4 0.631
C -0.68591 -0.20860 -0.38732 3.1 -1.9 1.2 -0.268
N -0.97232 1.17882 1.53504 -2.2 -0.9 1.9 -0.803
N -0.94120 -1.36623 -1.09785 1.7 1.5 -2.6 -0.793
O -0.65914 1.31904 -2.52636 -0.1 -1.2 -0.8 -0.963
O 1.35005 -2.25282 0.28797 0.2 -0.6 -0.8 -0.975
O -2.32250 -0.61924 1.23314 -2.1 -1.9 1.0 -0.612
O 1.54637 0.53575 -1.86956 -0.5 -1.0 -0.1 -0.954
O 0.28710 2.13710 -0.52347 0.9 -0.3 0.0 -1.016
O 2.21988 0.11169 0.39170 0.2 -1.2 -0.6 -0.949
O 0.97037 -0.84807 2.25092 0.1 0.0 -0.9 -0.957
S 0.19539 0.99299 -1.41990 -1.5 3.8 0.3 2.383
S 1.12479 -0.92912 0.80164 -0.4 2.0 1.2 2.148
H -0.34805 1.75934 1.05836 1.2 1.2 -0.7 0.436
H -1.38026 1.41194 2.44430 0.4 -0.2 -0.8 0.393
H -0.06854 -1.36039 -1.75597 -2.4 -1.3 1.2 0.389
H 2.14923 0.22984 -0.76348 -0.2 0.1 1.4 0.509
H -1.01321 -2.19509 -0.54962 0.1 -0.5 0.4 0.402
```
Forces are in eV/Å.

- maximum force (eV/A) = 4.1